Work order
Find "6.089 2.315" and "7.795 3.875" in the block further below, and echo these two lines and those between, please.
File
- - -
Entry 1:
Computed, not measured: a relaxed structure of Tl2CuTe2 at the GGA-PBE level of DFT.

```
5
Lattice="-2.187 2.187 8.054 2.187 -2.187 8.054 2.187 2.187 -8.054" Properties=species:S:1:pos:R:3 pbc="T T T"
Tl 2.187 0.000 4.027
Tl 0.000 2.187 4.027
Cu 0.000 0.000 0.000
Te 0.000 0.000 6.611
Te 0.000 0.000 9.498
```

Summary:
Space group = I4/mmm, No. 139
Formation energy = 19.2 kJ per mole of atoms
E (MP2020) = -2.82 eV per atom

---

Entry 2:
Computed, not measured: a relaxed structure of K2Na2Nd2MgNb2O10 at the GGA-PBE level of DFT.

```
19
Lattice="5.913 0.000 0.000 0.000 5.764 0.000 -0.819 0.000 8.751" Properties=species:S:1:pos:R:3 pbc="T T T"
K 0.000 0.000 0.000
K 2.456 2.882 0.799
Na 0.139 2.882 6.460
Na 2.666 0.000 2.090
Nd -0.396 0.000 4.362
Nd 2.531 2.882 4.223
Mg 3.509 2.882 7.227
Nb 2.480 0.000 6.503
Nb 5.475 2.882 2.208
O 0.940 1.557 2.668
O 0.940 4.208 2.668
O 1.291 1.284 5.428
O 1.291 4.481 5.428
O 2.127 0.000 8.348
O 4.160 1.559 2.921
O 4.160 4.205 2.921
O 4.047 1.359 6.001
O 4.047 4.406 6.001
O 5.353 2.882 0.283
```

Summary:
Total moment = 0.00 μB/atom
Space group = Pm, No. 6
Formation energy = -258.8 kJ per mole of atoms
E (MP2020) = -7.19 eV per atom

---

Entry 3:
Computed, not measured: a relaxed structure of Na2HfSiGeP2O12 at the GGA-PBE level of DFT.

```
114
Lattice="8.740 0.000 0.000 4.350 7.598 0.000 0.016 0.080 22.308" Properties=species:S:1:pos:R:3 pbc="T T T"
Na 0.000 0.000 0.000
Na 2.767 4.853 16.768
Na 4.434 7.515 11.083
Na 3.215 4.995 1.862
Na 5.933 5.282 20.510
Na 4.376 2.505 3.784
Na 4.403 2.498 14.825
Na 9.908 7.529 5.608
Na 5.968 0.229 12.978
Na 8.735 5.018 7.438
Na 8.771 5.077 18.620
Na 7.573 2.482 9.305
Hf 4.358 7.631 14.340
Hf 4.400 7.497 3.284
Hf 4.374 2.478 18.189
Hf 4.391 2.455 0.504
Hf 8.671 5.028 15.249
Hf 13.034 7.593 19.048
Si 3.080 5.241 5.613
Si 2.974 4.753 20.497
Si 6.330 4.997 1.872
Si 5.598 0.265 9.268
Si 7.410 2.888 12.846
Si 10.492 7.604 16.677
Ge 4.281 7.472 7.847
Ge 4.322 2.497 7.057
Ge 4.396 2.517 11.502
Ge 8.756 5.065 10.688
Ge 8.763 5.074 21.899
Ge 8.725 4.938 4.185
P 1.280 2.200 16.718
P 1.876 2.478 9.288
P 6.884 7.544 5.663
P 5.644 5.374 16.740
P 5.591 4.694 9.269
P 3.138 0.255 20.517
P 7.486 7.252 12.868
P 6.976 2.572 20.504
P 9.914 7.121 1.898
P 7.468 2.183 5.635
P 9.915 2.867 1.861
P 11.276 4.942 12.906
O 3.753 6.190 20.389
O 0.945 1.225 9.130
O 1.044 1.333 15.470
O 3.724 5.888 4.254
O 3.248 3.891 19.136
O 2.712 2.715 1.751
O 2.734 2.747 8.037
O 3.399 3.679 12.734
O 3.738 4.091 21.775
O 2.798 2.399 16.814
O 4.963 6.107 9.095
O 2.754 2.239 10.549
O 4.993 6.031 15.512
O 1.699 0.200 4.388
O 1.619 0.085 20.358
O 3.779 3.781 5.837
O 5.311 6.295 1.934
O 5.972 7.370 13.038
O 5.959 7.303 6.886
O 5.417 6.198 18.021
O 4.928 4.085 10.537
O 4.959 4.007 16.857
O 3.378 1.135 21.720
O 3.464 1.195 5.789
O 5.312 3.710 1.804
O 3.788 1.063 12.742
O 3.755 0.881 19.243
O 5.419 3.743 8.051
O 7.735 6.331 11.674
O 7.170 5.217 0.476
O 7.161 5.216 16.622
O 7.809 6.302 5.490
O 5.772 2.671 12.745
O 8.165 6.683 14.148
O 4.942 0.965 7.932
O 7.144 4.797 9.418
O 4.938 0.903 1.781
O 8.108 6.434 20.619
O 6.091 2.821 19.257
O 5.241 1.322 16.804
O 7.232 4.765 3.205
O 5.913 2.269 5.786
O 5.433 1.255 10.579
O 6.089 2.315 21.713
O 7.635 3.734 14.206
O 7.795 3.875 20.627
O 9.344 6.507 3.197
O 9.299 6.364 9.474
O 8.112 3.576 5.456
O 9.643 6.224 16.591
O 8.140 3.573 11.550
O 9.754 6.223 0.642
O 7.662 1.261 4.406
O 7.051 0.182 15.333
O 7.875 1.347 20.361
O 7.269 0.186 9.097
O 10.159 5.191 5.402
O 8.127 1.554 6.906
O 8.060 1.381 12.978
O 11.452 7.314 17.958
O 11.463 7.275 1.991
O 10.334 5.301 11.729
O 9.317 3.488 0.590
O 10.108 4.904 20.678
O 9.397 3.599 16.586
O 9.673 3.726 9.427
O 9.776 3.760 3.121
O 10.476 4.750 14.222
O 11.997 6.328 6.848
O 9.286 1.469 1.986
O 9.425 1.566 17.969
O 12.149 6.216 13.051
```

Summary:
Total moment = 0.00 μB/atom
Space group = P1, No. 1
Formation energy = -275.2 kJ per mole of atoms
E (MP2020) = -7.74 eV per atom

---

Entry 4:
- - -
Completed
O 6.089 2.315 21.713
O 7.635 3.734 14.206
O 7.795 3.875 20.627